Henrik Lissner 03022d09f9
Remove doom//x naming convention
This naming convention was meant to be for batch commands, but it grew
to include "commands that were helpful with managing Doom", but many of
these commands shouldn't be interactive in the first place!
2018-06-17 21:35:58 +02:00

106 lines
3.6 KiB

;;; core/autoload/ui.el -*- lexical-binding: t; -*-
(defun doom/toggle-line-numbers ()
"Toggle line numbers.
Cycles through regular, relative and no line numbers. The order depends on what
`doom-line-numbers-style' is set to.
Uses `display-line-numbers' in Emacs 26+ and `nlinum-mode' everywhere else."
(defvar doom--line-number-style doom-line-numbers-style)
(let* ((styles '(t relative nil))
(order (cons doom-line-numbers-style (delq doom-line-numbers-style styles)))
(queue (memq doom--line-number-style order))
(next (if (= (length queue) 1)
(car order)
(car (cdr queue)))))
(setq doom--line-number-style next)
(cond ((boundp 'display-line-numbers)
(when (and (eq next 'relative)
(setq next 'visual))
(setq display-line-numbers next))
((featurep 'nlinum)
(pcase next
(`t (nlinum-relative-off) (nlinum-mode +1))
(`relative (nlinum-relative-on))
(`nil (nlinum-mode -1))))
(error "No line number plugin detected")))
(message "Switched to %s line numbers"
(pcase next
(`t "normal")
(`relative "relative")
(`visual "visual")
(`nil "disabled")))))
(defun doom-resize-window (window new-size &optional horizontal force-p)
"Resize a window to NEW-SIZE. If HORIZONTAL, do it width-wise.
If FORCE-P is omitted when `window-size-fixed' is non-nil, resizing will fail."
(with-selected-window (or window (selected-window))
(let ((window-size-fixed (unless force-p window-size-fixed)))
(enlarge-window (- new-size (if horizontal (window-width) (window-height)))
(defun doom/window-zoom ()
"Close other windows to focus on this one. Activate again to undo this. If the
window changes before then, the undo expires.
Alternatively, use `doom/window-enlargen'."
(if (and (one-window-p)
(assoc ?_ register-alist))
(jump-to-register ?_)
(window-configuration-to-register ?_)
(defvar doom--window-enlargened nil)
(defun doom/window-enlargen ()
"Enlargen the current window to focus on this one. Does not close other
windows (unlike `doom/window-zoom') Activate again to undo."
(setq doom--window-enlargened
(if (and doom--window-enlargened
(assoc ?_ register-alist))
(ignore (jump-to-register ?_))
(window-configuration-to-register ?_)
### Here the entry breaks off for materials data
~~~
Record 1
For RbGdTe4, a DFT-relaxed cell (GGA-PBE, Alexandria) gives the simulated powder diffractogram in this record (Cu Kα X-rays).

```
data_RbGdTe4
_symmetry_space_group_name_H-M 'P 4/n b m'
_symmetry_Int_Tables_number 125
_cell_length_a 6.8853
_cell_length_b 6.8853
_cell_length_c 9.2792
_cell_angle_alpha 90.00
_cell_angle_beta 90.00
_cell_angle_gamma 90.00
loop_
_symmetry_equiv_pos_as_xyz
'x,y,z'
'-x,-y,-z'
'-y+1/2,x,z'
'y+1/2,-x,-z'
'-x+1/2,-y+1/2,z'
'x+1/2,y+1/2,-z'
'y,-x+1/2,z'
'-y,x+1/2,-z'
'x,-y+1/2,-z'
'-x,y+1/2,z'
'-y+1/2,-x+1/2,-z'
'y+1/2,x+1/2,z'
'-x+1/2,y,-z'
'x+1/2,-y,z'
'y,x,-z'
'-y,-x,z'
loop_
_atom_site_label
_atom_site_type_symbol
_atom_site_fract_x
_atom_site_fract_y
_atom_site_fract_z
Rb1 Rb 0.2500 0.2500 0.0000
Gd1 Gd 0.2500 0.2500 0.5000
Te1 Te 0.1042 0.6042 0.2987
```

Most intense lines, 2θ from 10° to 80°, sorted by position:
two_theta  I_rel
26.54  85
28.87  12
30.59  100
32.38  39
34.35  13
34.97  25
41.45  62
49.15  34
57.07  23
58.10  14
60.43  19
66.18  12

=====

Record 2
For Ac3Cd2Rh7, a DFT-relaxed cell (GGA-PBE, Alexandria) gives the simulated powder diffractogram in this record (Cu Kα X-rays).

```
data_Ac3Cd2Rh7
_symmetry_space_group_name_H-M 'R -3 m'
_symmetry_Int_Tables_number 166
_symmetry_space_group_name_Hall '-R 3 2"'
_cell_length_a 5.6547
_cell_length_b 5.6547
_cell_length_c 26.4069
_cell_angle_alpha 90.00
_cell_angle_beta 90.00
_cell_angle_gamma 120.00
loop_
_atom_site_label
_atom_site_type_symbol
_atom_site_fract_x
_atom_site_fract_y
_atom_site_fract_z
Ac1 Ac 0.0000 0.0000 0.0000
Ac2 Ac 0.0000 0.0000 0.1385
Cd1 Cd 0.0000 0.0000 0.3342
Rh1 Rh 0.0000 0.0000 0.5000
Rh2 Rh 0.0032 0.5016 0.9142
```

Most intense lines, 2θ from 10° to 80°, sorted by position:
two_theta  I_rel
29.90  34
31.65  51
32.72  33
36.87  38
37.82  100
39.24  15
40.61  22
41.91  15
55.28  13
60.49  25
62.11  24
66.09  27

=====
~~~
(defun doom/delete-frame ()
"Delete the current frame, but ask for confirmation if it isn't empty."
(if (cdr (frame-list))
(when (doom-quit-p "Close frame?")
(define-minor-mode doom-big-font-mode
"A global mode that resizes the font, for streams, screen-sharing and
:init-value nil
:lighter " BIG"
:global t
(unless (fontp doom-big-font)
(user-error "`doom-big-font' isn't set to a valid font"))
(if doom-big-font-mode
(set-frame-font doom-big-font t t)
(set-frame-font doom-font t t)))
(defun doom/reload-theme ()
"Reset the current color theme and fonts."
(let ((theme (or (car-safe custom-enabled-themes) doom-theme)))
(when theme
(mapc #'disable-theme custom-enabled-themes))